Work order =
Duplicate everything further down unchanged.
Excerpt =
- - -
The following is a DFT calculation (PBE) of an optimized crystal structure of Mg149Hg.

Cell lengths 15.917, 15.917, 15.599 Å; angles 90.00, 90.00, 120.00 degrees
Fractional coordinates of all 150 atoms:
Mg (0.000, 0.000, 0.000)
Mg (0.000, 0.000, 0.333)
Mg (0.000, 0.000, 0.667)
Mg (0.000, 0.200, 0.000)
Mg (0.000, 0.200, 0.333)
Mg (0.000, 0.200, 0.667)
Mg (0.000, 0.400, 0.000)
Mg (0.000, 0.600, 0.000)
Mg (0.000, 0.800, 0.000)
Mg (0.000, 0.800, 0.333)
Mg (0.000, 0.800, 0.667)
Mg (0.001, 0.400, 0.334)
Mg (0.001, 0.400, 0.666)
Mg (0.001, 0.600, 0.334)
Mg (0.001, 0.600, 0.666)
Mg (0.133, 0.067, 0.167)
Mg (0.133, 0.067, 0.500)
Mg (0.133, 0.067, 0.833)
Mg (0.133, 0.267, 0.167)
Mg (0.133, 0.267, 0.833)
Mg (0.133, 0.867, 0.167)
Mg (0.133, 0.867, 0.833)
Mg (0.134, 0.267, 0.500)
Mg (0.134, 0.467, 0.167)
Mg (0.134, 0.467, 0.833)
Mg (0.134, 0.667, 0.167)
Mg (0.134, 0.667, 0.833)
Mg (0.134, 0.866, 0.500)
Mg (0.135, 0.468, 0.500)
Mg (0.135, 0.668, 0.500)
Mg (0.200, 0.000, 0.000)
Mg (0.200, 0.000, 0.333)
Mg (0.200, 0.000, 0.667)
Mg (0.200, 0.200, 0.000)
Mg (0.200, 0.200, 0.333)
Mg (0.200, 0.200, 0.667)
Mg (0.200, 0.399, 0.333)
Mg (0.200, 0.399, 0.667)
Mg (0.200, 0.400, 0.000)
Mg (0.200, 0.600, 0.000)
Mg (0.200, 0.800, 0.000)
Mg (0.200, 0.800, 0.333)
Mg (0.200, 0.800, 0.667)
Mg (0.201, 0.601, 0.334)
Mg (0.201, 0.601, 0.666)
Mg (0.332, 0.468, 0.500)
Mg (0.332, 0.865, 0.500)
Mg (0.333, 0.066, 0.500)
Mg (0.333, 0.067, 0.167)
Mg (0.333, 0.067, 0.833)
Mg (0.333, 0.267, 0.167)
Mg (0.333, 0.267, 0.500)
Mg (0.333, 0.267, 0.833)
Mg (0.333, 0.467, 0.167)
Mg (0.333, 0.467, 0.833)
Mg (0.333, 0.667, 0.167)
Mg (0.333, 0.667, 0.833)
Mg (0.333, 0.866, 0.167)
Mg (0.333, 0.866, 0.833)
Mg (0.399, 0.601, 0.334)
Mg (0.399, 0.601, 0.666)
Mg (0.399, 0.799, 0.334)
Mg (0.399, 0.799, 0.666)
Mg (0.400, 0.000, 0.000)
Mg (0.400, 0.200, 0.000)
Mg (0.400, 0.200, 0.334)
Mg (0.400, 0.200, 0.666)
Mg (0.400, 0.400, 0.000)
Mg (0.400, 0.400, 0.334)
Mg (0.400, 0.400, 0.666)
Mg (0.400, 0.600, 0.000)
Mg (0.400, 0.800, 0.000)
Mg (0.400, 0.999, 0.334)
Mg (0.400, 0.999, 0.666)
Mg (0.532, 0.668, 0.500)
Mg (0.532, 0.865, 0.500)
Mg (0.533, 0.065, 0.500)
Mg (0.533, 0.067, 0.167)
Mg (0.533, 0.067, 0.833)
Mg (0.533, 0.267, 0.167)
Mg (0.533, 0.267, 0.500)
Mg (0.533, 0.267, 0.833)
Mg (0.533, 0.467, 0.167)
Mg (0.533, 0.467, 0.500)
Mg (0.533, 0.467, 0.833)
Mg (0.533, 0.667, 0.167)
Mg (0.533, 0.667, 0.833)
Mg (0.533, 0.866, 0.167)
Mg (0.533, 0.866, 0.833)
Mg (0.600, 0.000, 0.000)
Mg (0.600, 0.200, 0.000)
Mg (0.600, 0.200, 0.334)
Mg (0.600, 0.200, 0.666)
Mg (0.600, 0.400, 0.000)
Mg (0.600, 0.400, 0.334)
Mg (0.600, 0.400, 0.666)
Mg (0.600, 0.600, 0.000)
Mg (0.600, 0.600, 0.334)
Mg (0.600, 0.600, 0.666)
Mg (0.600, 0.800, 0.000)
Mg (0.600, 0.999, 0.334)
Mg (0.600, 0.999, 0.666)
Mg (0.601, 0.800, 0.333)
Mg (0.601, 0.800, 0.667)
Mg (0.733, 0.066, 0.500)
Mg (0.733, 0.067, 0.167)
Mg (0.733, 0.067, 0.833)
Mg (0.733, 0.267, 0.167)
Mg (0.733, 0.267, 0.500)
Mg (0.733, 0.267, 0.833)
Mg (0.733, 0.467, 0.167)
Mg (0.733, 0.467, 0.500)
Mg (0.733, 0.467, 0.833)
Mg (0.733, 0.667, 0.167)
Mg (0.733, 0.667, 0.500)
Mg (0.733, 0.667, 0.833)
Mg (0.733, 0.866, 0.500)
Mg (0.733, 0.867, 0.167)
Mg (0.733, 0.867, 0.833)
Mg (0.800, 0.000, 0.000)
Mg (0.800, 0.000, 0.333)
Mg (0.800, 0.000, 0.667)
Mg (0.800, 0.200, 0.000)
Mg (0.800, 0.200, 0.334)
Mg (0.800, 0.200, 0.666)
Mg (0.800, 0.400, 0.000)
Mg (0.800, 0.400, 0.334)
Mg (0.800, 0.400, 0.666)
Mg (0.800, 0.600, 0.000)
Mg (0.800, 0.600, 0.334)
Mg (0.800, 0.600, 0.666)
Mg (0.800, 0.800, 0.000)
Mg (0.800, 0.800, 0.333)
Mg (0.800, 0.800, 0.667)
Mg (0.933, 0.067, 0.167)
Mg (0.933, 0.067, 0.500)
Mg (0.933, 0.067, 0.833)
Mg (0.933, 0.267, 0.167)
Mg (0.933, 0.267, 0.833)
Mg (0.933, 0.467, 0.167)
Mg (0.933, 0.467, 0.833)
Mg (0.933, 0.667, 0.167)
Mg (0.933, 0.667, 0.833)
Mg (0.933, 0.867, 0.167)
Mg (0.933, 0.867, 0.500)
Mg (0.933, 0.867, 0.833)
Mg (0.934, 0.267, 0.500)
Mg (0.934, 0.667, 0.500)
Mg (0.935, 0.467, 0.500)
Hg (0.333, 0.667, 0.500)

Output
- - -
Worked solution =
The following is a DFT calculation (PBE) of an optimized crystal structure of Mg149Hg.

Cell lengths 15.917, 15.917, 15.599 Å; angles 90.00, 90.00, 120.00 degrees
Fractional coordinates of all 150 atoms:
Mg (0.000, 0.000, 0.000)
Mg (0.000, 0.000, 0.333)
Mg (0.000, 0.000, 0.667)
Mg (0.000, 0.200, 0.000)
Mg (0.000, 0.200, 0.333)
Mg (0.000, 0.200, 0.667)
Mg (0.000, 0.400, 0.000)
Mg (0.000, 0.600, 0.000)
Mg (0.000, 0.800, 0.000)
Mg (0.000, 0.800, 0.333)
Mg (0.000, 0.800, 0.667)
Mg (0.001, 0.400, 0.334)
Mg (0.001, 0.400, 0.666)
Mg (0.001, 0.600, 0.334)
Mg (0.001, 0.600, 0.666)
Mg (0.133, 0.067, 0.167)
Mg (0.133, 0.067, 0.500)
Mg (0.133, 0.067, 0.833)
Mg (0.133, 0.267, 0.167)
Mg (0.133, 0.267, 0.833)
Mg (0.133, 0.867, 0.167)
Mg (0.133, 0.867, 0.833)
Mg (0.134, 0.267, 0.500)
Mg (0.134, 0.467, 0.167)
Mg (0.134, 0.467, 0.833)
Mg (0.134, 0.667, 0.167)
Mg (0.134, 0.667, 0.833)
Mg (0.134, 0.866, 0.500)
Mg (0.135, 0.468, 0.500)
Mg (0.135, 0.668, 0.500)
Mg (0.200, 0.000, 0.000)
Mg (0.200, 0.000, 0.333)
Mg (0.200, 0.000, 0.667)
Mg (0.200, 0.200, 0.000)
Mg (0.200, 0.200, 0.333)
Mg (0.200, 0.200, 0.667)
Mg (0.200, 0.399, 0.333)
Mg (0.200, 0.399, 0.667)
Mg (0.200, 0.400, 0.000)
Mg (0.200, 0.600, 0.000)
Mg (0.200, 0.800, 0.000)
Mg (0.200, 0.800, 0.333)
Mg (0.200, 0.800, 0.667)
Mg (0.201, 0.601, 0.334)
Mg (0.201, 0.601, 0.666)
Mg (0.332, 0.468, 0.500)
Mg (0.332, 0.865, 0.500)
Mg (0.333, 0.066, 0.500)
Mg (0.333, 0.067, 0.167)
Mg (0.333, 0.067, 0.833)
Mg (0.333, 0.267, 0.167)
Mg (0.333, 0.267, 0.500)
Mg (0.333, 0.267, 0.833)
Mg (0.333, 0.467, 0.167)
Mg (0.333, 0.467, 0.833)
Mg (0.333, 0.667, 0.167)
Mg (0.333, 0.667, 0.833)
Mg (0.333, 0.866, 0.167)
Mg (0.333, 0.866, 0.833)
Mg (0.399, 0.601, 0.334)
Mg (0.399, 0.601, 0.666)
Mg (0.399, 0.799, 0.334)
Mg (0.399, 0.799, 0.666)
Mg (0.400, 0.000, 0.000)
Mg (0.400, 0.200, 0.000)
Mg (0.400, 0.200, 0.334)
Mg (0.400, 0.200, 0.666)
Mg (0.400, 0.400, 0.000)
Mg (0.400, 0.400, 0.334)
Mg (0.400, 0.400, 0.666)
Mg (0.400, 0.600, 0.000)
Mg (0.400, 0.800, 0.000)
Mg (0.400, 0.999, 0.334)
Mg (0.400, 0.999, 0.666)
Mg (0.532, 0.668, 0.500)
Mg (0.532, 0.865, 0.500)
Mg (0.533, 0.065, 0.500)
Mg (0.533, 0.067, 0.167)
Mg (0.533, 0.067, 0.833)
Mg (0.533, 0.267, 0.167)
Mg (0.533, 0.267, 0.500)
Mg (0.533, 0.267, 0.833)
Mg (0.533, 0.467, 0.167)
Mg (0.533, 0.467, 0.500)
Mg (0.533, 0.467, 0.833)
Mg (0.533, 0.667, 0.167)
Mg (0.533, 0.667, 0.833)
Mg (0.533, 0.866, 0.167)
Mg (0.533, 0.866, 0.833)
Mg (0.600, 0.000, 0.000)
Mg (0.600, 0.200, 0.000)
Mg (0.600, 0.200, 0.334)
Mg (0.600, 0.200, 0.666)
Mg (0.600, 0.400, 0.000)
Mg (0.600, 0.400, 0.334)
Mg (0.600, 0.400, 0.666)
Mg (0.600, 0.600, 0.000)
Mg (0.600, 0.600, 0.334)
Mg (0.600, 0.600, 0.666)
Mg (0.600, 0.800, 0.000)
Mg (0.600, 0.999, 0.334)
Mg (0.600, 0.999, 0.666)
Mg (0.601, 0.800, 0.333)
Mg (0.601, 0.800, 0.667)
Mg (0.733, 0.066, 0.500)
Mg (0.733, 0.067, 0.167)
Mg (0.733, 0.067, 0.833)
Mg (0.733, 0.267, 0.167)
Mg (0.733, 0.267, 0.500)
Mg (0.733, 0.267, 0.833)
Mg (0.733, 0.467, 0.167)
Mg (0.733, 0.467, 0.500)
Mg (0.733, 0.467, 0.833)
Mg (0.733, 0.667, 0.167)
Mg (0.733, 0.667, 0.500)
Mg (0.733, 0.667, 0.833)
Mg (0.733, 0.866, 0.500)
Mg (0.733, 0.867, 0.167)
Mg (0.733, 0.867, 0.833)
Mg (0.800, 0.000, 0.000)
Mg (0.800, 0.000, 0.333)
Mg (0.800, 0.000, 0.667)
Mg (0.800, 0.200, 0.000)
Mg (0.800, 0.200, 0.334)
Mg (0.800, 0.200, 0.666)
Mg (0.800, 0.400, 0.000)
Mg (0.800, 0.400, 0.334)
Mg (0.800, 0.400, 0.666)
Mg (0.800, 0.600, 0.000)
Mg (0.800, 0.600, 0.334)
Mg (0.800, 0.600, 0.666)
Mg (0.800, 0.800, 0.000)
Mg (0.800, 0.800, 0.333)
Mg (0.800, 0.800, 0.667)
Mg (0.933, 0.067, 0.167)
Mg (0.933, 0.067, 0.500)
Mg (0.933, 0.067, 0.833)
Mg (0.933, 0.267, 0.167)
Mg (0.933, 0.267, 0.833)
Mg (0.933, 0.467, 0.167)
Mg (0.933, 0.467, 0.833)
Mg (0.933, 0.667, 0.167)
Mg (0.933, 0.667, 0.833)
Mg (0.933, 0.867, 0.167)
Mg (0.933, 0.867, 0.500)
Mg (0.933, 0.867, 0.833)
Mg (0.934, 0.267, 0.500)
Mg (0.934, 0.667, 0.500)
Mg (0.935, 0.467, 0.500)
Hg (0.333, 0.667, 0.500)

Output